Given:
- - -
Here is the molecule C24H22N6O4 in a non-equilibrium geometry from the Open Molecules 2025 dataset. Energies are from wB97M-V/def2-TZVPD.

## Properties
**Frontier orbital gap**: 8.12 eV
**Total energy**: -42376.0409 eV
**HOMO level**: -8.05 eV
**SMILES**: Cc1ccc(NC(=O)C(=O)NCc2ccc(/C=N/NC(=O)c3c(C)nc4ccccn34)o2)cc1
**Relative energy (zero: lowest compared OMol25 entry of this formula, charge and spin)**: 0.275 eV

Last column: Löwdin charge in e.
Positions of all 56 atoms, in Å:
C (8.1124, 2.9765, 1.3853)  -0.0553
C (7.0314, 2.1234, 0.7958)  -0.2873
C (6.6579, 0.9327, 1.4089)  -0.0376
C (5.6519, 0.1407, 0.8910)  -0.0026
C (4.9926, 0.5354, -0.2692)  -0.2168
N (3.9708, -0.2243, -0.8423)  0.1458
C (3.4325, -1.3881, -0.4465)  -0.3723
O (3.7149, -2.0657, 0.5264)  0.0732
C (2.3289, -1.8236, -1.4218)  -0.4009
O (2.0385, -1.1586, -2.4007)  0.0695
N (1.7821, -2.9883, -1.0614)  0.0959
C (0.6706, -3.6125, -1.7483)  -0.0772
C (-0.5261, -3.7034, -0.8604)  -0.2510
C (-0.8952, -4.6465, 0.0623)  -0.0098
C (-2.0886, -4.1846, 0.6478)  0.0041
C (-2.3704, -2.9799, 0.0438)  -0.2502
C (-3.4453, -2.0493, 0.2198)  -0.0955
N (-4.3673, -2.3076, 1.0647)  0.0714
N (-5.4181, -1.5022, 1.2920)  0.0450
C (-5.7830, -0.2467, 0.8314)  -0.3985
O (-6.9748, 0.0107, 0.7489)  0.0642
C (-4.7433, 0.7336, 0.5708)  -0.1023
C (-3.5130, 0.9974, 1.1905)  -0.2778
C (-2.8217, 0.2260, 2.2526)  -0.0173
N (-2.9848, 2.1346, 0.7229)  0.1612
C (-3.8396, 2.6182, -0.1687)  -0.2617
C (-3.7608, 3.7719, -0.9569)  0.0060
C (-4.7963, 4.0644, -1.8021)  -0.0713
C (-5.9184, 3.2159, -1.8703)  -0.0594
C (-5.9831, 2.0925, -1.1010)  -0.0192
N (-4.9576, 1.8013, -0.2725)  0.0634
O (-1.4141, -2.6917, -0.8692)  0.0998
C (5.3573, 1.7256, -0.8925)  -0.0187
C (6.3651, 2.5066, -0.3618)  -0.0464
H (7.7275, 3.5257, 2.2451)  0.0833
H (8.4809, 3.6965, 0.6590)  0.0734
H (8.9435, 2.3632, 1.7275)  0.0780
H (7.1652, 0.6188, 2.3095)  0.1144
H (5.3728, -0.7800, 1.3755)  0.1002
H (3.5491, 0.1422, -1.6947)  0.1431
H (2.1313, -3.3944, -0.2008)  0.1458
H (0.4473, -2.9815, -2.6131)  0.1333
H (0.9618, -4.6138, -2.0810)  0.1349
H (-0.3774, -5.5574, 0.2841)  0.1114
H (-2.6749, -4.6558, 1.4078)  0.1107
H (-3.4035, -1.1598, -0.4103)  0.1361
H (-6.1956, -2.0147, 1.6984)  0.1528
H (-3.5337, -0.3075, 2.8775)  0.0813
H (-2.1406, -0.5029, 1.8116)  0.0751
H (-2.2351, 0.9124, 2.8573)  0.0852
H (-2.8859, 4.3934, -0.8696)  0.1150
H (-4.7636, 4.9485, -2.4192)  0.1043
H (-6.7366, 3.4541, -2.5297)  0.1043
H (-6.8238, 1.4166, -1.0942)  0.1244
H (4.8476, 2.0343, -1.7941)  0.1127
H (6.6384, 3.4278, -0.8558)  0.1102


Here is the ion C5H9N2O2 with charge +1 in a non-equilibrium geometry from the Open Molecules 2025 dataset. Energies are from wB97M-V/def2-TZVPD.

## Properties
**Frontier orbital gap**: 9.92 eV
**Total energy**: -12394.8634 eV
**HOMO level**: -13.67 eV
**SMILES**: Cn1cc[n+](C)c1OO
**Charge**: +1
**Relative energy (zero: lowest compared OMol25 entry of this formula, charge and spin)**: 6.092 eV

Last column: Löwdin charge in e.
Positions of all 18 atoms, in Å:
C (-1.0026, 2.1570, -0.0715)  0.0167
N (-0.0174, 1.1267, 0.1034)  -0.0469
C (1.3896, 1.2081, 0.0950)  0.0453
C (1.8417, -0.0969, 0.0946)  -0.0109
N (0.8166, -0.9902, 0.1142)  -0.0333
C (0.9032, -2.4046, -0.1238)  0.0606
C (-0.2731, -0.1773, 0.0707)  -0.1811
O (-1.5345, -0.8225, -0.1235)  -0.0010
O (-2.8868, -0.1882, 0.0639)  0.0798
H (-2.0867, 1.8928, -0.1945)  0.1055
H (-0.7703, 2.7907, 0.7996)  0.1119
H (-0.6901, 2.6682, -1.1390)  0.1707
H (1.8062, 2.1211, 0.1399)  0.1011
H (2.9217, -0.2444, 0.0478)  0.1533
H (1.2945, -2.5202, -1.0536)  0.0827
H (1.5260, -2.6717, 0.7997)  0.1547
H (-0.0479, -2.8076, 0.0310)  0.0850
H (-3.1902, -1.0409, 0.3461)  0.1057


Here is the molecule C9H7NO2 in a non-equilibrium geometry from the Open Molecules 2025 dataset. Energies are from wB97M-V/def2-TZVPD.

## Properties
**Frontier orbital gap**: 10.01 eV
**Total energy**: -15025.7991 eV
**HOMO level**: -9.80 eV
**SMILES**: O=C1CC(c2ccccc2)=NO1
- - -

Assignment:
The reader should copy the lines further above from the one with "-8.05 eV" to the one with "(3.5491, 0.1422," word for word.

Here it is:
**HOMO level**: -8.05 eV
**SMILES**: Cc1ccc(NC(=O)C(=O)NCc2ccc(/C=N/NC(=O)c3c(C)nc4ccccn34)o2)cc1
**Relative energy (zero: lowest compared OMol25 entry of this formula, charge and spin)**: 0.275 eV

Last column: Löwdin charge in e.
Positions of all 56 atoms, in Å:
C (8.1124, 2.9765, 1.3853)  -0.0553
C (7.0314, 2.1234, 0.7958)  -0.2873
C (6.6579, 0.9327, 1.4089)  -0.0376
C (5.6519, 0.1407, 0.8910)  -0.0026
C (4.9926, 0.5354, -0.2692)  -0.2168
N (3.9708, -0.2243, -0.8423)  0.1458
C (3.4325, -1.3881, -0.4465)  -0.3723
O (3.7149, -2.0657, 0.5264)  0.0732
C (2.3289, -1.8236, -1.4218)  -0.4009
O (2.0385, -1.1586, -2.4007)  0.0695
N (1.7821, -2.9883, -1.0614)  0.0959
C (0.6706, -3.6125, -1.7483)  -0.0772
C (-0.5261, -3.7034, -0.8604)  -0.2510
C (-0.8952, -4.6465, 0.0623)  -0.0098
C (-2.0886, -4.1846, 0.6478)  0.0041
C (-2.3704, -2.9799, 0.0438)  -0.2502
C (-3.4453, -2.0493, 0.2198)  -0.0955
N (-4.3673, -2.3076, 1.0647)  0.0714
N (-5.4181, -1.5022, 1.2920)  0.0450
C (-5.7830, -0.2467, 0.8314)  -0.3985
O (-6.9748, 0.0107, 0.7489)  0.0642
C (-4.7433, 0.7336, 0.5708)  -0.1023
C (-3.5130, 0.9974, 1.1905)  -0.2778
C (-2.8217, 0.2260, 2.2526)  -0.0173
N (-2.9848, 2.1346, 0.7229)  0.1612
C (-3.8396, 2.6182, -0.1687)  -0.2617
C (-3.7608, 3.7719, -0.9569)  0.0060
C (-4.7963, 4.0644, -1.8021)  -0.0713
C (-5.9184, 3.2159, -1.8703)  -0.0594
C (-5.9831, 2.0925, -1.1010)  -0.0192
N (-4.9576, 1.8013, -0.2725)  0.0634
O (-1.4141, -2.6917, -0.8692)  0.0998
C (5.3573, 1.7256, -0.8925)  -0.0187
C (6.3651, 2.5066, -0.3618)  -0.0464
H (7.7275, 3.5257, 2.2451)  0.0833
H (8.4809, 3.6965, 0.6590)  0.0734
H (8.9435, 2.3632, 1.7275)  0.0780
H (7.1652, 0.6188, 2.3095)  0.1144
H (5.3728, -0.7800, 1.3755)  0.1002
H (3.5491, 0.1422, -1.6947)  0.1431